### Excerpt
<<<
No. 1
The following is a DFT calculation (wB97M-V/def2-TZVPD) of a molecular structure, C36H78Br18NO6S at a distorted geometry.

Geometry as XYZ:
```
140
Properties=species:S:1:pos:R:3
C 11.48 22.47 15.95
O 12.59 21.59 15.77
C 12.15 20.25 15.73
C 13.41 19.34 15.59
N 14.20 19.73 14.49
H 12.78 20.11 13.04
H 14.69 20.59 14.69
C 15.15 18.70 14.03
C 16.21 18.32 14.99
O 16.96 19.45 15.30
C 17.63 19.27 16.50
H 11.79 23.45 15.67
H 11.13 22.49 17.00
H 10.62 22.06 15.37
H 11.52 20.17 14.84
H 11.37 20.04 16.53
H 13.10 18.29 15.55
H 13.98 19.50 16.52
H 15.69 19.14 13.14
H 14.64 17.81 13.63
H 16.87 17.45 14.59
H 15.84 18.04 15.97
H 18.27 20.15 16.72
H 18.35 18.39 16.47
H 16.93 19.01 17.26
S 12.04 18.45 12.07
O 10.83 18.28 11.26
O 13.26 18.20 11.32
O 11.96 19.94 12.49
O 12.09 17.64 13.31
C 14.11 15.50 10.71
Br 13.39 13.81 11.37
Br 14.37 15.40 8.79
Br 15.74 15.83 11.57
H 13.48 16.33 10.99
C 17.04 23.82 12.13
Br 18.92 24.07 11.71
Br 16.20 25.53 12.41
Br 16.79 22.65 13.67
H 16.60 23.42 11.26
C 8.70 19.22 13.29
Br 8.51 18.77 15.14
Br 8.44 21.11 13.00
Br 7.67 18.14 12.14
H 9.74 19.09 13.04
C 12.96 20.65 9.50
Br 14.66 20.84 10.30
Br 12.98 19.47 8.03
Br 12.39 22.38 8.77
H 12.13 20.38 10.13
C 18.86 20.43 11.20
Br 20.61 20.61 12.18
Br 18.27 18.60 11.19
Br 18.87 21.07 9.36
H 18.02 20.90 11.65
C 12.44 15.36 15.57
Br 11.62 13.58 15.15
Br 14.26 15.13 16.01
Br 11.40 16.18 17.00
H 12.29 15.93 14.68
C 18.17 26.44 16.76
C 17.18 25.34 16.50
C 16.49 24.68 17.74
C 15.73 23.35 17.36
C 15.04 22.88 18.62
C 13.63 23.58 18.81
H 17.70 27.33 17.09
H 18.66 26.61 15.83
H 19.00 26.22 17.51
H 16.37 25.71 15.85
H 17.64 24.54 15.79
H 15.79 25.34 18.22
H 17.30 24.43 18.47
H 14.95 23.44 16.59
H 16.39 22.55 16.92
H 14.81 21.88 18.63
H 15.60 23.19 19.48
H 12.91 23.24 18.06
H 13.15 23.21 19.68
H 13.63 24.72 18.73
C 19.43 22.32 18.22
C 20.01 22.47 16.83
C 21.20 23.43 16.76
C 21.76 23.54 15.36
C 21.35 24.85 14.75
C 22.01 25.14 13.41
H 19.28 23.27 18.73
H 19.88 21.58 18.87
H 18.43 21.96 18.18
H 20.36 21.50 16.39
H 19.21 22.86 16.17
H 21.97 22.96 17.41
H 20.92 24.37 17.12
H 22.90 23.50 15.37
H 21.47 22.68 14.71
H 20.23 24.91 14.78
H 21.66 25.71 15.36
H 23.05 24.83 13.45
H 21.59 24.74 12.45
H 22.00 26.23 13.27
C 19.05 15.89 13.86
C 19.84 15.44 12.63
C 20.76 14.35 12.87
C 20.05 13.01 12.76
C 21.05 11.86 12.78
C 20.46 10.50 12.85
H 18.45 16.70 13.52
H 19.69 16.10 14.71
H 18.41 15.07 14.27
H 19.12 15.31 11.83
H 20.34 16.35 12.38
H 21.25 14.36 13.84
H 21.53 14.36 12.13
H 19.32 12.92 13.54
H 19.48 12.99 11.80
H 21.50 11.84 11.78
H 21.87 12.01 13.48
H 21.23 9.67 12.93
H 19.78 10.48 13.70
H 19.86 10.22 12.01
C 9.48 25.03 17.96
C 10.11 26.39 17.75
C 11.34 26.25 16.83
C 12.07 27.50 16.52
C 13.52 27.38 16.00
C 14.16 28.74 15.82
H 8.61 25.22 18.56
H 10.15 24.35 18.48
H 9.31 24.76 16.89
H 9.38 27.02 17.27
H 10.45 26.88 18.66
H 10.94 25.85 15.90
H 12.00 25.48 17.28
H 11.54 28.12 15.79
H 12.14 28.12 17.45
H 14.15 26.84 16.73
H 13.51 26.77 15.12
H 15.19 28.68 15.62
H 13.68 29.25 15.00
H 14.13 29.33 16.85
```

Highest occupied orbital energy: -6.88 eV
Spin multiplicity: 1
Net charge: -1
Molar mass: 2091.360 g/mol
E_tot: -48655.05744 hartree
LUMO: 1.360 eV

Here are the Löwdin charges for atoms 1 to 99, given in e:
1 C -0.095
2 O -0.201
3 C -0.220
4 C -0.205
5 N -0.045
6 H 0.070
7 H 0.081
8 C -0.201
9 C -0.266
10 O -0.207
11 C -0.114
12 H 0.065
13 H 0.077
14 H 0.082
15 H 0.079
16 H 0.129
17 H 0.083
18 H 0.122
19 H 0.105
20 H 0.086
21 H 0.129
22 H 0.088
23 H 0.077
24 H 0.108
25 H 0.071
26 S 0.320
27 O -0.354
28 O -0.414
29 O -0.210
30 O -0.342
31 C -1.597
32 Br 0.539
33 Br 0.547
34 Br 0.602
35 H -0.072
36 C -1.545
37 Br 0.592
38 Br 0.587
39 Br 0.638
40 H -0.063
41 C -1.673
42 Br 0.576
43 Br 0.571
44 Br 0.638
45 H -0.103
46 C -1.630
47 Br 0.624
48 Br 0.608
49 Br 0.519
50 H -0.054
51 C -1.555
52 Br 0.511
53 Br 0.606
54 Br 0.547
55 H -0.104
56 C -1.566
57 Br 0.485
58 Br 0.610
59 Br 0.555
60 H -0.071
61 C -0.119
62 C -0.274
63 C -0.178
64 C -0.215
65 C -0.243
66 C -0.085
67 H 0.049
68 H 0.048
69 H 0.092
>>>

### Work order
Next, count the lines earlier on that contain the word "hartree" and give the number alone.

### Here it is
1